Government-aligned Jumhoree Party (JP) Leader Gasim Ibrahim has accused other political parties of attempting to bribe MPs to jump parties, and boost support for their policies.
Speaking at a rally on the island of Gahdhoo in Gaaf Dhaal Atoll on Friday (June 28), MP and local business tycoon Gasim asked the public to be vigilant against what he alleged were efforts by political parties to “buy” the country.
Gasim noted with particular concern that large sums of money were being paid to MPs by unidentified political parties looking to boost their parliamentary representation and support their respective agendas.
“We hear members change parties for US$2 million,” he was quoted as saying by Haveeru. “Why are they being paid such vast sums to change parties? Why?”
Gasim’s comments were made on the back of widespread media speculation that Ahmed Mahloof, an MP for the fellow government-aligned Progressive Party of Maldives (PPM), was looking to switch to the opposition Maldivian Democratic Party (MDP).
JP Spokesperson Moosa Rameez told Minivan News earlier this year that it was “against the values” of the party to offer incentives to encourage MPs to join.
The comments were made after former PPM MP Ilham Ahmed told media that his allegiance was “not for sale”, despite his “love and admiration” for JP Leader Gasim.
MP Ilham later joined the JP in April following the PPM presidential primary vote.
Various political parties have moved to reject claims they offer MPs incentives to back them. However, NGOs in the country have previously expressed concern at a perceived accountability failure in the Maldives’ democratic system allowing MPs to switch freely between rival parties for personal gain.
Transparency Maldives has claimed the lack of mechanisms for investigating the alleged use of incentives to encourage MPs to transfer to other parties had done very little to “allay fears” among the general public of parliament being a corrupt institution.
Ibrahim Shareef, former Deputy Leader of the government-aligned Dhivehi Rayyithunge Party (DRP), said in January this year that he did not believe MPs were necessarily having their allegiance bought by rival parties.
'''
[1]
First-principles (PBE-GGA) data for Al3SiMo12 after structural relaxation, as listed in the Materials Project database.

CIF file:
```
data_Al3SiMo12
_cell_length_a 4.969
_cell_length_b 4.970
_cell_length_c 9.924
_cell_angle_alpha 90.00
_cell_angle_beta 90.00
_cell_angle_gamma 90.00
_space_group_name_H-M_alt 'P m m m'
_space_group_IT_number 47
loop_
_space_group_symop_operation_xyz
'x,y,z'
'-x,-y,-z'
'-x,-y,z'
'x,y,-z'
'x,-y,-z'
'-x,y,z'
'-x,y,-z'
'x,-y,z'
loop_
_atom_site_label
_atom_site_type_symbol
_atom_site_fract_x
_atom_site_fract_y
_atom_site_fract_z
Al1 Al 0.000 0.000 0.000
Al2 Al 0.500 0.500 0.250
Si1 Si 0.000 0.000 0.500
Mo1 Mo 0.000 0.249 0.251
Mo2 Mo 0.248 0.500 0.500
Mo3 Mo 0.250 0.500 0.000
Mo4 Mo 0.500 0.000 0.125
Mo5 Mo 0.500 0.000 0.376
```

[2]
First-principles (PBE-GGA) data for Sm6Al43Mo4 after structural relaxation, as listed in the Materials Project database.

CIF file:
```
data_Sm6Al43Mo4
_cell_length_a 11.0752
_cell_length_b 11.0752
_cell_length_c 17.7458
_cell_angle_alpha 90.00
_cell_angle_beta 90.00
_cell_angle_gamma 120.00
_space_group_name_H-M_alt 'P 63/m c m'
_space_group_IT_number 193
_space_group_name_Hall '-P 6c 2'
loop_
_atom_site_label
_atom_site_type_symbol
_atom_site_fract_x
_atom_site_fract_y
_atom_site_fract_z
Sm1 Sm 0.0000 0.4700 0.0952
Al1 Al 0.0000 0.1461 0.7500
Al2 Al 0.0000 0.1574 0.1156
Al3 Al 0.0000 0.2516 0.5312
Al4 Al 0.1477 0.5515 0.2500
Al5 Al 0.1582 0.3933 0.6646
Al6 Al 0.2470 0.4941 0.0000
Al7 Al 0.3333 0.6667 0.1269
Mo1 Mo 0.0000 0.0000 0.0000
Mo2 Mo 0.0000 0.2693 0.2500
```

One value per record, in order, for total moment: 0.001; 0.000 μB/cell.
One value per record, in order, for formation energy: -0.256; -0.320 eV/atom.

=====

DFT (PBE) results for an optimized crystal structure of Na3NbSi3GeO12.

Calculated values
The value obtained for the energy is -7.081 eV per atom.

Cell lengths 15.5336, 8.8809, 8.9204 Å; angles 90.00, 125.01, 90.00 degrees
Closest atoms and distances in Å follow each position.
Atoms (fractional coordinates):
O1 0.5794 0.4357 0.4413  1 Si 1.63
O2 0.3537 0.8545 0.5762  1 Si 1.65
O3 0.0867 0.1459 0.2441  1 Si 1.64
O4 0.6435 0.9180 0.2359  1 Si 1.63
O5 0.6342 0.8615 0.9216  1 Si 1.63
O6 0.9618 0.6843 0.4425  1 Si 1.63
O7 0.5351 0.8318 0.5609  1 Si 1.65
O8 0.5794 0.5643 0.9413  1 Si 1.63
O9 0.2385 0.6847 0.2604  1 Si 1.64
O10 0.4618 0.1843 0.4425  1 Si 1.63
O11 0.7385 0.1847 0.2604  1 Si 1.64
O12 0.3537 0.1455 0.0762  1 Si 1.65
O13 0.3463 0.0658 0.7648  1 Si 1.67
O14 0.1435 0.5820 0.7359  1 Si 1.63
O15 0.8463 0.4342 0.2648  1 Si 1.67
O16 0.6342 0.1385 0.4216  1 Si 1.63
O17 0.5867 0.3541 0.7441  1 Si 1.64
O18 0.0794 0.9357 0.4413  1 Si 1.63
O19 0.0794 0.0643 0.9413  1 Si 1.63
O20 0.9618 0.3157 0.9425  1 Si 1.63
O21 0.9191 0.8504 0.7540  1 Si 1.64
O22 0.2504 0.1879 0.2403  1 Si 1.63
O23 0.1342 0.3615 0.9216  1 Si 1.63
O24 0.4373 0.5699 0.5788  1 Si 1.64
O25 0.4191 0.3504 0.7540  1 Si 1.64
O26 0.9373 0.0699 0.5788  1 Si 1.64
O27 0.9191 0.1496 0.2540  1 Si 1.64
'''
However, he said there was realistically “always a temptation” for elected officials to transfer to a party expected to come to power.
Shareef claimed such behaviour was a likely factor in growing public disillusionment with democracy.
Earlier this month, Parliamentary Speaker Abullah Shahid, who switched his allegiance from the DRP to the MDP in April 2013, confirmed that five MPs had recently moved to new parties.
This movement of MPs included Deputy Speaker Ahmed Nazim from the People’s Alliance (PA) going to the PPM, MPs Ahmed Shareef Adam and Ahmed Moosa from PPM to President Dr Mohamed Waheed’s Gaumee Ihthihaad Party (GIP), and MP Ali Azim from the government-aligned Dhivehi Rayyithunge Party (DRP) to the opposition Maldivian Democratic Party (MDP).
____________
(1)
The following is a DFT calculation (GGA-PBE) of a relaxed SmMgSe3 crystal.

a = 6.9914 Å, b = 6.9914 Å, c = 19.4767 Å
α = 90.00°, β = 90.00°, γ = 120.00°
With the nearest neighbours (Å) after each atom.
Positions (direct):
1 Se 0.2963 0.3279 0.7508  2 Mg 2.71-2.78, 2 Sm 2.90-2.93
2 Se 0.3279 0.0316 0.2492  2 Mg 2.71-2.78, 2 Sm 2.90-2.93
3 Se 0.9684 0.2963 0.2492  2 Mg 2.71-2.78, 2 Sm 2.90-2.93
4 Se 0.9946 0.3649 0.5826  2 Mg 2.71-2.78, 2 Sm 2.90-2.93
5 Se 0.6982 0.0370 0.0841  2 Mg 2.71-2.78, 2 Sm 2.90-2.93
6 Se 0.3018 0.9630 0.9159  2 Mg 2.71-2.78, 2 Sm 2.90-2.93
7 Se 0.0370 0.3388 0.9159  2 Mg 2.71-2.78, 2 Sm 2.90-2.93
8 Se 0.6721 0.9684 0.7508  2 Mg 2.71-2.78, 2 Sm 2.90-2.93
9 Se 0.9630 0.6612 0.0841  2 Mg 2.71-2.78, 2 Sm 2.90-2.93
10 Se 0.0316 0.7037 0.7508  2 Mg 2.71-2.78, 2 Sm 2.90-2.93
11 Se 0.6612 0.6982 0.9159  2 Mg 2.71-2.78, 2 Sm 2.90-2.93
12 Se 0.6351 0.6297 0.5826  2 Mg 2.71-2.78, 2 Sm 2.90-2.93
13 Se 0.3649 0.3703 0.4174  2 Mg 2.71-2.78, 2 Sm 2.90-2.93
14 Se 0.7037 0.6721 0.2492  2 Mg 2.71-2.78, 2 Sm 2.90-2.93
15 Se 0.3388 0.3018 0.0841  2 Mg 2.71-2.78, 2 Sm 2.90-2.93
16 Se 0.6297 0.9946 0.4174  2 Mg 2.71-2.78, 2 Sm 2.90-2.93
17 Se 0.3703 0.0054 0.5826  2 Mg 2.71-2.78, 2 Sm 2.90-2.93
18 Se 0.0054 0.6351 0.4174  2 Mg 2.71-2.78, 2 Sm 2.90-2.93
19 Mg 0.0000 0.0000 0.8385  6 Se 2.71-2.78
20 Mg 0.3333 0.6667 0.5052  6 Se 2.71-2.78
21 Mg 0.3333 0.6667 0.8281  6 Se 2.71-2.78
22 Mg 0.6667 0.3333 0.1719  6 Se 2.71-2.78
23 Mg 0.6667 0.3333 0.4948  6 Se 2.71-2.78
24 Mg 0.0000 0.0000 0.1615  6 Se 2.71-2.78
25 Sm 0.0000 0.0000 0.3490  6 Se 2.90-2.93
26 Sm 0.6667 0.3333 0.6823  6 Se 2.90-2.93
27 Sm 0.3333 0.6667 0.3177  6 Se 2.90-2.93
28 Sm 0.3333 0.6667 0.0156  6 Se 2.90-2.93
29 Sm 0.0000 0.0000 0.6510  6 Se 2.90-2.93
30 Sm 0.6667 0.3333 0.9844  6 Se 2.90-2.93

Values from the calculation:
Excess energy over the best structure of this formula in the dataset in meV/atom: 0.0
ΔE_f in eV per atom: -1.4875
V in Å³ per cell: 824

(2)
The following is a DFT calculation (GGA-PBE) of a relaxed SmMgSe3 crystal.

a = 8.5905 Å, b = 11.9369 Å, c = 7.7718 Å
α = 90.00°, β = 135.30°, γ = 90.00°
With the nearest neighbours (Å) after each atom.
Positions (direct):
1 Se 0.7391 0.1566 0.7588  1 Mg 2.59
2 Se 0.2609 0.1566 0.2412  1 Mg 2.59
3 Se 0.7999 0.5000 0.6977  2 Mg 2.64, 2 Sm 2.85-2.92
4 Se 0.2001 0.5000 0.3023  2 Mg 2.64, 2 Sm 2.85-2.92
5 Se 0.2609 0.8434 0.2412  1 Mg 2.59
6 Se 0.7609 0.3434 0.2412  1 Mg 2.59
7 Se 0.2391 0.3434 0.7588  1 Mg 2.59
8 Se 0.7609 0.6566 0.2412  1 Mg 2.59
9 Se 0.2999 0.0000 0.6977  2 Mg 2.64, 2 Sm 2.85-2.92
10 Se 0.2391 0.6566 0.7588  1 Mg 2.59
11 Se 0.7001 0.0000 0.3023  2 Mg 2.64, 2 Sm 2.85-2.92
12 Se 0.7391 0.8434 0.7588  1 Mg 2.59
13 Mg 0.0000 0.3275 0.0000  4 Se 2.59-2.64
14 Mg 0.5000 0.1725 0.0000  4 Se 2.59-2.64
15 Mg 0.5000 0.8275 0.0000  4 Se 2.59-2.64
16 Mg 0.0000 0.6725 0.0000  4 Se 2.59-2.64
17 Sm 0.4504 0.5000 0.1775  6 Se 2.85-3.00
18 Sm 0.9504 0.0000 0.1775  6 Se 2.85-3.00
____________
DRP MP Ali Saleem meanwhile left the party to become an Independent MP.